Tuesday, March 31, 2009

Death Burger aka The double coronary

Liz and I recently took a trip to Atlanta for some sightseeing and to get away from DC for a weekend. We chose the wrong weekend to go, it rained everyday nonstop, that didn't deter us however, we still managed to see most of the major sites and hang outs. I know my blog is supposed to be about local DC eateries, but this deserves a spot here. While in Atlanta, I made it a point to go to The Varsity, that was weak, it was more of a tourist trap then a good place to get food, Liz was disappointed, and I left thinking I missed something about it. After the varsity we ran off to the world of coke, I tried all the flavors, or at least the ones I could because it seemed like everyone and their mother also had the same idea we did because the place was packed! I was a tad disappointed that I could not get my Fanta Melon soda there, Coke needs to produce this in America or at least I need to find a Japanese importer willing to hook me up.

Getting to the real post, The Vortex Bar and Grill as seen on Man Vs. Food - Atlanta episode. After seeing the episode I wanted to attempt to make the burgers I saw on that show, but I never got around to it. When Liz suggested we go to Atlanta, I of course agreed because I knew I would end up eating there. It was the right decision in mind, maybe not in body however. So, the burger, it is unlike anything I have eaten before, to start it was a bacon cheeseburger, simple enough, but there was 5 slices of bacon, 4 slices of American cheese, now that is just the burger. To further my last post about the fried eggs, the Vortex burger was accompanied by 2 fried eggs, and yes fried eggs make a burger taste better (Ray's Hell Burger - Listen Up). Oh no this hasn't stopped there, the buns? Two grilled cheese sandwiches! Simply put, best cheeseburger I have had at a non-fast food establishment, kudos Vortex. Now, how does one feel after eating this? If you have seen the episode of the boondocks - Itis, then you know, if you are unfamiliar with that cartoon, then I was a little laggy for a bit, but nothing to bad, no stomach problems, long term effects, I will probably need the burgers name sooner rather than later, but it was worth it. However, after the glares I got from Liz, I don't think I will be doing it again anytime soon. Flickr set: Vortex Bar and Grill

Vortex Bar and Grill

878 Peachtree Street

Atlanta, GA 30309 - Midtown location

Take Orange line to Midtown and it is a short walk

Insider tip: 18 and over ONLY - yes no children allowed, I enjoyed the fact that I got to sit underneath a black velvet picture of a naked woman whilst eating my burger - fun times


Anonymous said...

ok josh that burger looks like it could kill two men! how the hell did you eat it. I give liz props for sitting there with her egg omlet and take photos. all in all it looked good but not good enough to eat in one sitting

Wade Heath said...

• Here the page breaks off for calculated crystals:
~~~
Sr2HfZnFe: theoretical X-ray powder pattern (Cu Kα (λ = 1.5418 Å)), based on a crystal structure in Alexandria, relaxed with GGA-PBE.

Structure:
```
Sr2HfZnFe
1.0
5.4297 0.0000 0.0000
0.0000 5.4297 0.0000
0.0000 0.0000 4.7622
Sr Hf Zn Fe
2 1 1 1
direct
0.0000 0.5000 0.0000
0.5000 0.0000 0.0000
0.0000 0.0000 0.5000
0.5000 0.5000 0.5000
0.5000 0.5000 0.0000
```

Largest 10 diffraction maxima, most intense first, 2θ = 10–80°:
| 2theta | I_rel |
| --- | --- |
| 29.89 | 100.0 |
| 32.99 | 68.0 |
| 51.02 | 39.0 |
| 57.02 | 32.5 |
| 24.87 | 31.9 |
| 47.35 | 24.4 |
| 37.78 | 23.4 |
| 62.11 | 21.3 |
| 41.75 | 16.2 |
| 23.17 | 12.0 |

---

Pm2PuTl3Te6: theoretical X-ray powder pattern (Cu Kα (λ = 1.5418 Å)), based on a crystal structure in Alexandria, relaxed with GGA-PBE.

Structure:
```
Pm2PuTl3Te6
1.0
3.9309 -6.8072 0.0000
3.9309 6.8072 0.0000
-2.6233 0.0000 8.1427
Pm Pu Tl Te
2 1 3 6
direct
0.1666 0.8334 0.0000
0.8334 0.1666 0.0000
0.5000 0.5000 0.0000
0.0000 0.0000 0.5000
0.3327 0.6673 0.5000
0.6673 0.3327 0.5000
0.0961 0.4275 0.7822
0.2416 0.2416 0.2185
0.4275 0.0961 0.7822
0.5725 0.9039 0.2178
0.7584 0.7584 0.7815
0.9039 0.5725 0.2178
```

Largest 10 diffraction maxima, most intense first, 2θ = 10–80°:
| 2theta | I_rel |
| --- | --- |
| 26.98 | 100.0 |
| 37.29 | 39.2 |
| 39.72 | 36.9 |
| 48.67 | 20.1 |
| 64.56 | 17.3 |
| 55.61 | 12.4 |
| 70.49 | 12.2 |
| 61.17 | 10.8 |
| 44.51 | 6.9 |
| 72.09 | 6.4 |

---

Tb12NdSm5: theoretical X-ray powder pattern (Cu Kα (λ = 1.5418 Å)), based on a crystal structure in Alexandria, relaxed with GGA-PBE.

Structure:
```
Tb12NdSm5
1.0
5.6808 -8.7047 0.0000
5.6808 8.7047 0.0000
-0.0003 0.0000 5.9909
Tb Nd Sm
12 1 5
direct
0.0105 0.3437 0.0537
0.1555 0.4891 0.5539
0.1755 0.1755 0.4493
0.3230 0.3230 0.9494
0.3437 0.0105 0.0537
0.4891 0.1555 0.5539
0.5109 0.8445 0.4461
0.6563 0.9895 0.9463
0.6770 0.6770 0.0506
0.8245 0.8245 0.5507
0.8445 0.5109 0.4461
0.9895 0.6563 0.9463
0.5000 0.5000 0.5000
0.0000 0.0000 0.0000
0.1675 0.8325 0.5000
0.3326 0.6674 0.0000
0.6674 0.3326 0.0000
0.8325 0.1675 0.5000
```

Largest 10 diffraction maxima, most intense first, 2θ = 10–80°:
| 2theta | I_rel |
| --- | --- |
| 31.93 | 100.0 |
| 30.82 | 30.4 |
| 29.83 | 24.2 |
| 55.50 | 20.9 |
| 43.42 | 17.5 |
| 34.61 | 12.5 |
| 54.28 | 11.6 |
| 58.17 | 9.1 |
| 66.74 | 8.8 |
| 48.05 | 8.0 |

---

SmAl4Ag4: theoretical X-ray powder pattern (Cu Kα (λ = 1.5418 Å)), based on a crystal structure in Alexandria, relaxed with GGA-PBE.

Structure:
```
SmAl4Ag4
1.0
6.2028 0.0000 0.0000
0.0000 6.2028 0.0000
0.0000 0.0000 9.1064
Sm Al Ag
2 8 8
direct
0.2500 0.7500 0.2500
0.7500 0.2500 0.7500
0.0318 0.2500 0.0501
0.2500 0.0318 0.5501
0.2500 0.4682 0.5501
0.4682 0.2500 0.0501
0.5318 0.7500 0.9499
0.7500 0.5318 0.4499
0.7500 0.9682 0.4499
0.9682 0.7500 0.9499
0.0267 0.2500 0.3419
0.2500 0.0267 0.8419
0.2500 0.4733 0.8419
0.4733 0.2500 0.3419
0.5267 0.7500 0.6581
0.7500 0.5267 0.1581
0.7500 0.9733 0.1581
0.9733 0.7500 0.6581
```
~~~

Man I'm hungry!

Johnna Knows Good Food: Yum Yum, Gimme Some! said...

When you come back to DC you should try Z Burger, their burgers are just as good and allow you to indulge without feeling like you need to be carried out of the restaurant, lol...